
Galea and Cates argue for an emphasis shift in epidemiology, away from etiologic studies and toward studies that identify direct improvements in population health and that evaluate how to implement those improvements. This more public health practice-based focus for epidemiology has been labelled consequentialist epidemiology [1••, 2••]. Their call is based on reflections of public health achievements in epidemiology over the past decades and on acknowledgement of the current and future contexts in which epidemiology sits. Galea and Cates [1••, 2••] point out the relative lack of attention that has been paid in recent decades to solving large-scale public health problems, such as those in developing countries, and they identify current and future decreases in public research funds (e.g., lower NIH paylines) and societal changes (e.g., US health-care systems and widening income gaps). Epidemiology is a broad discipline, and thus, Galea and Cates’ points deserve consideration within substantive areas of the field. Here, I reflect on epidemiologic research of birth defects over the recent decades and propose directions for the field from a consequentialist perspective.


One of the greatest epidemiologic discoveries and public health actions to date—prevention of neural tube defects with folic acid—is a proud accomplishment of birth defect epidemiologists and one with clear consequences. An estimated 500 cases of spina bifida and anencephaly are prevented annually in the USA and Canada as a result of folic acid fortification of cereal grains [3, 4]. The evidence to support such a major public health intervention came from a randomized, controlled, double-blind clinical trial [5] and several observational studies [610] conducted in the 1980s and 1990s. Aside from the folic acid success story, experimental approaches to study potential preventative measures of birth defects are particularly complicated in pregnant populations because meeting the principles of a favorable balance of benefits and risks can be difficult to achieve when both mother and fetus must be considered [11].

Over the past decades, birth defects epidemiology has experienced an enormous boom, with many more observational studies and substantial improvements in design, exposure and outcome measurement, and analytic methods such as modeling. Formal epidemiologic studies with structured data collection and control groups replaced reports on clinical series that had previously dominated the field. Outcome definitions have also become more specific and etiologically meaningful. Collectively, birth defects affect approximately 3 % of live births, but when looking for causal factors, grouping all congenital structural anomalies together is analogous to grouping all neoplasms together. Descriptive epidemiology shows quite different patterns of occurrence for specific defects, according not only to organ system affected (e.g., musculoskeletal) but also the structure (e.g., limb), subtype of limb defect (e.g., terminal transverse deficiency), and presence of associated anomalies (e.g., terminal transverse limb deficiency with absent pectoralis muscle). As the birth defect epidemiologist drills down to more detailed phenotypes, the etiology is presumed to be more homogeneous, but the frequency of occurrence decreases. Thus, cohort studies of risk factors for phenotypically specific birth defects generally lack sufficient numbers of subjects except for highly prevalent exposures, leaving case–control studies as the preferred design for risk factor discovery and confirmation [12]. Thus, several large-scale case–control studies have been launched, employing rigorous diagnostic criteria and specific outcome definitions [1215].

Despite the operational efficiency of case–control studies, exposure measurement remains a challenge because it often relies on maternal recall, and biomarkers or standardized documentation of exposures are not routine for requisite cohorts of hundreds of thousands of newly pregnant women. The difficulty of accurate retrospective exposure measurement is exacerbated by the relatively short period of organogenesis necessitating recall of episodic exposures at the level of day or week. A greater appreciation for fetal development has spurred epidemiologists to collect more precise data on the timing of gestation and exposures, thus reducing exposure misclassification and improving the sensitivity of risk estimation. Tools, such as calendars and picture books, have also been developed to aid recall [16, 17].

Along with improvements at the data collection level, investigators now have a better understanding of causal models and estimate risks without erroneous adjustment for known collider or intermediate variables [18]. For example, women who take periconceptional folic acid supplements are more likely to undergo prenatal diagnostic testing, but prenatal diagnostic testing is not a confounder of the association between folic acid exposure and neural tube defect outcome and attempts to adjust for its effects can produce bias. Also, many exposures are shared risk factors for both birth weight and birth defects. However, because birth weight is not an antecedent to exposure, it cannot confound birth defect associations, and therefore, attempting to adjust for birth weight can produce biased results [19].

Inserted here: data records =
┌──
! GGA-PBE HoEr2Mg3Ir3, relaxed; values from VASP
! magnetic moment: 0.0 μB per formula unit
! electronic total energy: -5.69 eV per atom
&SYSTEM
  ibrav = 0, nat = 9, ntyp = 4
/
ATOMIC_SPECIES
Ho 164.93 Ho.upf
Er 167.26 Er.upf
Mg 24.30 Mg.upf
Ir 192.22 Ir.upf
CELL_PARAMETERS angstrom
4.0410 0.0000 0.0000
0.0000 6.2485 3.6054
0.0000 -6.2485 3.6054
ATOMIC_POSITIONS crystal
Ho 0.0000 0.0000 0.0000
Er 0.0000 0.1831 0.5913
Er 0.0000 0.5913 0.1831
Mg 0.5000 0.3453 0.3453
Mg 0.5000 0.5910 0.8372
Mg 0.5000 0.8372 0.5910
Ir 0.0000 0.5907 0.5907
Ir 0.5000 0.2586 0.9243
Ir 0.5000 0.9243 0.2586

~~~~~

(1)
A relaxed NaReW crystal. Source: the Alexandria database, functional PBE.

Calculated values
Total moment   0.0 Bohr magnetons per cell
ρ   10653 kg/m³
Energy relative to the elements   809 meV/atom
Crystal system   tetragonal

Lattice parameters (Å, degrees): 3.1251 3.1251 12.5461 90.00 90.00 90.00
Space group I4mm (No. 107)
One atom of each set of equivalent atoms:
Na (0.0000, 0.0000, 0.0000) [2 per cell]
Re (0.0000, 0.0000, 0.3069) [2 per cell]
W (0.0000, 0.0000, 0.7073) [2 per cell]


(2)
A relaxed YAl2 crystal. Source: the Alexandria database, functional PBE.

Calculated values
Total moment   0.0 Bohr magnetons per cell
ρ   2981 kg/m³
Energy relative to the elements   247 meV/atom
Crystal system   cubic

Lattice parameters (Å, degrees): 6.8282 6.8282 6.8282 90.00 90.00 90.00
Space group Fm-3m (No. 225)
One atom of each set of equivalent atoms:
Y (0.0000, 0.0000, 0.0000) [4 per cell]
Al (0.2500, 0.2500, 0.2500) [8 per cell]

~~~~~

Record 1
This record from the Alexandria database describes a relaxed KTaNi crystal. The functional is GGA-PBE.

a = 4.567 Å, b = 4.567 Å, c = 4.567 Å
α = 60.00°, β = 60.00°, γ = 60.00°
Fractional positions:
K (0.500, 0.500, 0.500)
Ni (0.250, 0.250, 0.250)
Ta (0.000, 0.000, 0.000)

Summary:
Calculated density: 6.87 g/cm3
Total magnetic moment: 0.00 μB/cell
Symmetry: F-43m, No. 216
ΔE to the lowest computed polymorph: 1.0573 eV/atom
Formation energy from the elements: 5.0 eV/f.u.
E_tot: -4.575 eV/atom

Record 2
This record from the Alexandria database describes a relaxed TaCo2Ru crystal. The functional is GGA-PBE.

a = 8.744 Å, b = 8.744 Å, c = 8.744 Å
α = 17.89°, β = 17.89°, γ = 17.89°
Fractional positions:
Co (0.994, 0.994, 0.994)
Co (0.253, 0.253, 0.253)
Ru (0.506, 0.506, 0.506)
Ta (0.747, 0.747, 0.747)

Summary:
Calculated density: 12.05 g/cm3
Total magnetic moment: 2.95 μB/cell
Symmetry: R3m, No. 160
ΔE to the lowest computed polymorph: 0.4336 eV/atom
Formation energy from the elements: 0.9 eV/f.u.
E_tot: -8.617 eV/atom

Record 3
This record from the Alexandria database describes a relaxed CaPr6Dy4 crystal. The functional is GGA-PBE.

a = 8.621 Å, b = 8.621 Å, c = 8.621 Å
α = 83.06°, β = 124.08°, γ = 124.08°
Fractional positions:
Ca (0.000, 0.000, 0.000)
Pr (0.000, 0.743, 0.407)
Pr (0.000, 0.407, 0.743)
Pr (0.336, 0.593, 0.593)
Pr (0.500, 0.500, 0.000)
Pr (0.664, 0.257, 0.257)
Pr (0.500, 0.000, 0.500)
└──
End of the data records =

This boom of epidemiologic studies and employment of improved methods has produced myriad exposure birth defect associations, but the list of consistent, robust, biologically plausible causal or risk factors is relatively short [20]. Thalidomide, folic acid deficiency, isotretinoin, valproate, carbamazepine, cigarette smoking, high-dose alcohol, diabetes, and assisted reproductive technologies can all be considered causal factors based on the strength of evidence, which includes multiple large-scale studies, detailed outcome definitions, consideration of gestational and exposure timing, and/or appropriate causal modeling. On the other hand, selective serotonin inhibitors, corticosteroids, proton pump inhibitors, opioids, aspirin, common cold, zinc, cocaine, caffeine and low-dose alcohol can only be considered risk factors with weaker evidence due to inconsistent results, sparse data, and/or absent biologic plausibility.

As epidemiologists chip away at the discovery of causal factors for birth defects, the larger body of findings that are either null, weak, or contradictory offers an important clue: Pathogenesis is quite complex. To understand normal and abnormal embryologic development, metabolomic, proteomic, genomic, and epigenetic studies are necessary. The tools to explore these -omics are developing rapidly, but in the case of birth defects, the timing of organogenesis limits access to biomarkers in the early embryonic period.

(Attached: crystal structures)
Here is a relaxed Ho2Tm3Se4 crystal from Alexandria. Energies are from PBE.

a = 6.8008 Å, b = 3.9271 Å, c = 16.5914 Å
α = 90.00°, β = 90.02°, γ = 90.00°
Closest atoms and distances in Å follow each position.
Space group C2/m (No. 12)
Asymmetric unit:
Ho: 0.1671 0.0000 0.2083 x4  6 Se 2.84-2.87
Tm: 0.0000 0.5000 0.0000 x2  6 Se 2.83
Tm: 0.1661 0.0000 0.5813 x4  3 Se 2.88
Se: 0.0006 0.5000 0.3117 x4  3 Ho 2.84, 3 Tm 2.88
Se: 0.1664 0.0000 0.8976 x4  3 Tm 2.83, 3 Ho 2.87

The density comes out at 8.6 g/cm³. As for the total energy: -5.55 eV per atom. Its density of states at the Fermi level is 5.7 states/eV/f.u.

=====

Here is a relaxed Ho2Tm3Se6 crystal from Alexandria. Energies are from PBE.

a = 6.9718 Å, b = 12.0161 Å, c = 6.9507 Å
α = 90.00°, β = 109.48°, γ = 90.00°
Closest atoms and distances in Å follow each position.
Space group C2/m (No. 12)
Asymmetric unit:
Ho: 0.0000 0.1648 0.0000 x4  6 Se 2.83-2.87
Tm: 0.0000 0.0000 0.5000 x2  6 Se 2.82-2.89
Tm: 0.0000 0.3340 0.5000 x4  6 Se 2.82-2.87
Se: 0.2438 0.5000 0.7525 x4  3 Tm 2.82-2.89, 2 Ho 2.83
Se: 0.2470 0.3360 0.2500 x8  3 Tm 2.82-2.87, 2 Ho 2.86-2.87

The density comes out at 7.9 g/cm³. As for the total energy: -5.78 eV per atom. Its density of states at the Fermi level is 4.2 states/eV/f.u.

=====

Here is a relaxed Ho2Tm2Se5 crystal from Alexandria. Energies are from PBE.

a = 17.2731 Å, b = 3.8985 Å, c = 7.3410 Å
α = 90.00°, β = 92.32°, γ = 90.00°
Closest atoms and distances in Å follow each position.
Space group C2/m (No. 12)
Asymmetric unit:
Ho: 0.0273 0.0000 0.2811 x4  7 Se 2.86-3.07
Tm: 0.1581 0.5000 0.9101 x4  5 Se 2.74-2.84
Se: 0.0000 0.5000 0.0000 x2  2 Tm 2.84, 4 Ho 2.86
Se: 0.0910 0.5000 0.5651 x4  1 Tm 2.74, 2 Ho 3.03
Se: 0.1864 0.0000 0.1735 x4  3 Tm 2.78, 1 Ho 2.89

The density comes out at 7.1 g/cm³. As for the total energy: -5.58 eV per atom. Its density of states at the Fermi level is 2.9 states/eV/f.u.

=====

Here is a relaxed HoTm4Se5 crystal from Alexandria. Energies are from PBE.

a = 8.9839 Å, b = 8.9839 Å, c = 5.7034 Å
α = 90.00°, β = 90.00°, γ = 90.00°
Closest atoms and distances in Å follow each position.
Space group I4/m (No. 87)
Asymmetric unit:
Ho: 0.0000 0.0000 0.0000 x2  6 Se 2.85-2.87
Tm: 0.1016 0.2982 0.5000 x8  6 Se 2.83-2.85
Se: 0.0000 0.0000 0.5000 x2  4 Tm 2.83, 2 Ho 2.85
Se: 0.0996 0.3030 0.0000 x8  5 Tm 2.83-2.85, 1 Ho 2.87

The density comes out at 8.9 g/cm³. As for the total energy: -5.66 eV per atom. Its density of states at the Fermi level is 4.7 states/eV/f.u.

=====

Here is a relaxed Ho2TmSe crystal from Alexandria. Energies are from PBE.

a = 3.7615 Å, b = 3.7615 Å, c = 27.9160 Å
α = 90.00°, β = 90.00°, γ = 120.00°
Closest atoms and distances in Å follow each position.
Space group R3m (No. 160, hexagonal axes)
Asymmetric unit:
Ho: 0.0000 0.0000 0.0000 x3  3 Se 2.86
Ho: 0.0000 0.0000 0.2000 x3  3 Se 2.86
Tm: 0.0000 0.0000 0.4327 x3  6 Ho 3.52-3.55, 6 Tm 3.76
Se: 0.0000 0.0000 0.5998 x3  6 Ho 2.86

The appeal of understanding pathogenesis for primary prevention is a noble goal, but acknowledgement of inherent methodologic barriers that contribute to relatively slow progress leads to the question: Where does birth defects epidemiology sit in the “consequentialist epidemiology” paradigm for which the central concern is improving health outcomes? If primary prevention through understanding pathogenesis and etiology is not readily achievable, what directions might the field take with more achievable improvements in health outcomes?

Future Directions

Consider health-care assessment. When a baby is born with a congenital anomaly, the immediate short-term and long-term health-care needs vary substantially depending on the phenotype and family choices. Important questions would be whether every family has access to high standards of care, and if not, what barriers are there and what interventions can be implemented to eliminate barriers. Given the rarity of specific birth defects, optimal care may require highly specialized services that are available only in selected cities. Prenatal diagnosis should provide lead time to find such services, but barriers to accessing either prenatal diagnostic testing or specialized services are likely, particularly for the latter. An example of this is fetal surgical repair of open spina bifida, a procedure with clear evidence of success on neurological outcomes [21]. However, to benefit from this procedure, the mother and fetus must have early and accurate prenatal ultrasonography, counselling on treatment options and risks, access to one of the few experienced treatment centers, and personal and insurance resources to cover the substantial costs. A less dramatic example is treatment for clubfoot, with serial casting, prostheses, and/or surgery [22]. Specialty services are more widely available but still require an affected family to travel to a major metropolitan area for fitting, follow-up care, and, if necessary, surgery. These scenarios are envisioned in developed countries with higher standards of care. It is important to recognize the enormous need for studies on optimal delivery of high-level care in less developed regions of the world. A study of low and middle income countries found that 67 % of deaths associated with oral clefts, heart defects, and neural tube defects could be prevented, and associated disease burden could be reduced by 57 % if improvements in surgical programs and other services were implemented [23••].

Attached: records of crystals:
- - -
Version w
Cr2TcCl: optimized geometry, GGA-PBE.

abc: 2.998 2.998 7.065
angles: 90.00 90.00 89.94
Each line ends with the local moment (μB).
Element x y z (fractional)
Cr 0.000 0.000 0.028  3.00
Cr 0.000 0.000 0.472  3.00
Tc 0.500 0.500 0.250  -1.01
Cl 0.500 0.500 0.750  0.01

Summary:
Total magnetic moment ... 1.373 μB/atom
DOS(E_F) ... 4.055 states/eV/f.u.
Space-group type ... P4/mmm



Version x
Cr2TcCl: optimized geometry, GGA-PBE.

abc: 5.479 5.479 5.479
angles: 142.75 142.75 53.71
Each line ends with the local moment (μB).
Element x y z (fractional)
Cr 0.000 0.000 0.000  -2.25
Cr 0.250 0.750 0.500  3.16
Tc 0.500 0.500 0.000  0.45
Cl 0.750 0.250 0.500  -0.02

Summary:
Total magnetic moment ... 0.361 μB/atom
DOS(E_F) ... 4.298 states/eV/f.u.
Space-group type ... I-4m2



Most stable: version w



Version w
Cr2TcCl: optimized geometry, GGA-PBE.

abc: 5.227 5.227 4.058
angles: 89.41 89.41 32.11
Each line ends with the local moment (μB).
Element x y z (fractional)
Cr 0.044 0.044 0.981  -1.55
Cr 0.739 0.739 0.726  2.64
Tc 0.464 0.464 0.559  0.22
Cl 0.254 0.254 0.234  -0.03

Summary:
Total magnetic moment ... 0.345 μB/atom
DOS(E_F) ... 3.318 states/eV/f.u.
Space-group type ... Cm



Version x
Cr2TcCl: optimized geometry, GGA-PBE.

abc: 8.148 8.148 8.148
angles: 19.61 19.61 19.61
Element x y z (fractional)
Cr 0.003 0.003 0.003
Cr 0.497 0.497 0.497
Tc 0.250 0.250 0.250
Cl 0.750 0.750 0.750

Summary:
Total magnetic moment ... 0.000 μB/atom
DOS(E_F) ... 4.732 states/eV/f.u.
Space-group type ... R-3m



Most stable: version x

~~~~~

Record 1
The following is a DFT calculation (PBEsol) of an optimized crystal structure of ScZnSe2.

Output
SG: R-3m, No. 166
magnetization: 0.0 μB per formula unit
E_tot: -20.0 eV/cell

Unit cell a=6.968 b=6.968 c=6.968 alpha=30.83 beta=30.83 gamma=30.83
Fractional coordinates of all 4 atoms:
Sc: 0.000 0.000 0.000
Zn: 0.500 0.500 0.500
Se: 0.250 0.250 0.250
Se: 0.750 0.750 0.750

---

Record 2
The following is a DFT calculation (PBEsol) of an optimized crystal structure of Sc2ZnSe4.

Output
SG: Fd-3m, No. 227
magnetization: 0.0 μB per formula unit
E_tot: -80.0 eV/cell

Unit cell a=7.709 b=7.709 c=7.709 alpha=60.00 beta=60.00 gamma=60.00
Fractional coordinates of all 14 atoms:
Sc: 0.000 0.000 0.000
Sc: 0.000 0.000 0.500
Sc: 0.000 0.500 0.000
Sc: 0.500 0.000 0.000
Zn: 0.375 0.375 0.375
Zn: 0.625 0.625 0.625
Se: 0.237 0.754 0.754
Se: 0.246 0.246 0.246
Se: 0.246 0.246 0.763
Se: 0.246 0.763 0.246
Se: 0.754 0.237 0.754
Se: 0.754 0.754 0.237
Se: 0.754 0.754 0.754
Se: 0.763 0.246 0.246

---

Record 3
The following is a DFT calculation (PBEsol) of an optimized crystal structure of ScZnSe2.

Output
SG: I-42d, No. 122
magnetization: 0.8 μB per formula unit
E_tot: -38.6 eV/cell

Unit cell a=6.985 b=6.985 c=6.985 alpha=129.24 beta=129.24 gamma=74.62
Fractional coordinates of all 8 atoms:
Sc: 0.000 0.000 0.000
Sc: 0.750 0.250 0.500
Zn: 0.250 0.750 0.500
Zn: 0.500 0.500 0.000
Se: 0.147 0.625 0.022
Se: 0.375 0.397 0.522
- - -

Much clinical research has addressed questions of the most effective treatments for many birth defects. However, follow-up may be limited to short-term outcomes based on clinical management. For treatments aimed at improving functional outcomes, such as respiration, nutrition, hearing, or mobility, studies of short-term outcomes are appropriate and essential to identify best treatments. However, treatments with longstanding improvements in both functional outcomes and quality of life are most desirable and worthy of study. Indeed, such research would optimally evaluate comprehensive care in which all needs are considered, including corrective surgery, physical and occupational therapy, family counselling, and both physical and mental health-related quality of life. This last outcome deserves special attention because it should supersede all others. In other words, an individual might determine that treatment lowers their quality of life. An acquaintance of mine with hemifacial microsomia serves as an example; he elected to forego corrective cosmetic surgery as a teen because it would have involved lengthy hospital stays and would have interfered with his quality of life. It is worth noting that research questions related to functional outcomes and quality of life pair with those related to access to care, as discussed above. Overall, the outcomes of greatest impact should be those that lead to a happy and satisfied childhood and adulthood. However, many studies of long-term outcomes in children born with specific birth defects are qualitative in nature or include only a series of cases [2426]. Cates states in his commentary on consequential epidemiology [2••], “we intuitively think in terms of both numerators and denominators unlike our sister disciplines in the health field who are more numerator-prone.” Thus, understanding and improving the sequelae of specific birth defect phenotypes is a field that is wide open for the epidemiologist’s expertise.

While the above scenarios on health-care assessment represent a major shift of emphasis for the many birth defect epidemiologists with a risk factor focus, some relatively minor shifts to etiologic research would also be compatible with the consequentialist agenda. Specifically, research questions can be sharpened toward translatable results. For example, a recent simulation study estimated the potential impact of fortifying corn masa with folic acid on neural tube defect outcomes because folic acid intake is lower in Latina populations [27]. Comparative effectiveness studies of treatments with known or suspected birth defect risk profiles also offer the potential for important, translatable results. For example, several anti-epileptic medications have been linked to specific birth defects [28]. Studies aimed at comparing specific agent’s anti-seizure effectiveness and birth defect risks would inform clinicians and patients about the risks and benefits of treatment options [29]. As the size of data resources on risk factors and birth defects have grown in recent years, studies that target factors that modify the impact of known risk factors can be helpful in refining public health messages. For example, in the National Birth Defects Prevention Study, increased risks of specific birth defects associated with maternal use of nitrosatable drugs were ameliorated among women with high vitamin C intake, a known nitrosation inhibitor [30]. Mediation analyses offer another opportunity for translatable results while exploiting existing data resources. A recent study of assisted reproductive technologies and NTDs serves as an example in which nearly all of an approximate doubling in risk was mediated through multiple gestations, suggesting that risk may decline if fewer embryos are transferred [31].

To stay within the existing framework of identifying risk factors for birth defects, a consequentialist epidemiologist would consider the impact of potential future interventions on the outcome. Factors for which there are existing health advisories would be of less interest. For example, regardless of whether high-dose alcohol intake, cigarette smoking, or obesity cause specific birth defects, major public health efforts are already in place, including strategies for prevention, reduction, or cessation strategies. On the other hand, infections are amenable to intervention and should be evaluated as potential risk factors for birth defects. Indeed, the major impact of some infections, e.g., Rubella and cytomegalovirus, is on the organogenesis [32, 33]. In the case of Rubella, vaccination in early childhood is recommended to avoid primary infection in pregnant women and subsequent birth defects in offspring. However, most infectious agents have been understudied as causal factors for birth defects. While epidemiologic studies would optimally include serial measures of biomarkers of specific microbial agents, such studies would be difficult to implement. Routine collection and storage of early gestation maternal serum samples across diverse pregnant populations are essential to serve as a resource for examining infectious risk factors for rare birth defects to move toward intervention strategies. From a consequentialist viewpoint, continued surveillance of potential birth defects risks is warranted for new exposures, particularly medications. For example, new anti-obesity products are emerging on the market, some of which contain agents suspected of teratogenesis [34]. However, unless such exposures are common or their teratogenic effects are quite large, the impact of identifying associations and subsequent interventions would likely result in only minor reductions of specific birth defect occurrences. Nevertheless, it is imperative that potential teratogenic risks are evaluated to inform clinical decision-making.


In conclusion, etiologic studies of specific birth defects play an important role, but epidemiologists could significantly increase their impact on public health by extending their research endeavors to address barriers to optimal outcomes among those affected with birth defects. Such research should involve cross-disciplinary teams, including epidemiologists, health economists, policy analysts, social psychologists, clinicians (e.g., physicians, nurses, and occupational therapists), clinical care coordinators, and interventionists. Though changes in research agendas and establishing new collaborations are not easy for epidemiologists to accomplish, identifying the etiologies of specific birth defects has proven to be enormously difficult to achieve as well. Galea and Cates’ call for consequentialist epidemiology [1, 2] rings true in the field of birth defects research and deserves action.